Celebrate Bubble Wrap Appreciation Day The Last Monday in January

Background image by Pete Linforth @ Pixabay
Pop … pop … pop. It’s time to celebrate that fascinating packing material we just can’t get enough of, Bubble Wrap®. Yep, we’re talking about Bubble Wrap Appreciation Day!
The textured wrap was created quite by accident in 1957.
Ok, not completely by accident. But its inventors, Al Fielding and Marc Chavannes, weren’t trying to create packing material. They were trying to create a plastic wallpaper.
Luckily for them (and us), they quickly figured out their air-filled plastic sheets would actually make good cushioning in packages.
They formed the Sealed Air Corporation in 1960 and the rest is, as they say, history. Today the company makes a wide variety of packaging material.
The company also sponsored a Bubble Wrap® Competition for Young Inventors for several years. The contest’s goal was to come up with the most creative product made mostly with the wrap.
But it didn’t start this day. The “Spirit 95” FM radio station in Bloomington, Indiana did that back in 2001.
Scroll down for some ideas on celebrating this unofficial holiday.
Celebrating Bubble Wrap® Appreciation Day
Today you can pop all the wrap you want, guilt-free!
Or you could get more creative and make something out of it. Ideas you might try could include:
- A dress or skirt. You can find lots of pictures of these around the web.
- A suit
- A bikini
- Animals
- Paintings Ok, these may be too complicated for most people (we certainly don’t intend to try!), but they’re amazing!
There’s even a Bubble Wrap Book with tons of ideas for crazy uses. Keep it for yourself or give it as a gift. The book is out of print, but as of this writing, it’s available on Amazon.
Even cats enjoy popping this stuff (or maybe not, judging by these reactions):
Raccoons, on the other hand, can’t get enough of the popping (or at least this guy can’t):
When is Bubble Wrap® Appreciation Day Next Year?
Since this day is celebrated on the last Monday in January, the exact date changes each year. Here’s a quick guide for the next few years. You’ll want to plan ahead to be sure you have plenty of bubble wrap on hand:
- 2019 – Monday, January 28
- 2020 – Monday, January 27
- 2021 – Monday, January 25
- 2022 – Monday, January 24
- 2023 – Monday, January 30
- 2024 – Monday, January 29
- 2025 – Monday, January 27
Quantum chemistry results, kept here for reference =
w:
DFT (ωB97M-V with the def2-TZVPD basis set) results for a structure of composition C2H4FNO.

Multiplicity: 1
Orbital gap, eV: 10.4

Geometry as XYZ:
```
9
C2H4FNO | the OMol25 dataset | ωB97M-V with the def2-TZVPD basis set
C -0.4158 -1.1215 0.9872
C 0.0440 0.9692 -0.6627
N 0.8069 0.0438 0.0865
O -1.5008 -0.8362 1.3204
F 0.2552 -2.2127 1.3191
H -0.5517 0.4357 -1.5479
H -0.7726 1.5591 -0.0354
H 0.8057 1.6869 -0.8705
H 1.3291 -0.5242 -0.5968
```

x:
DFT (ωB97M-V with the def2-TZVPD basis set) results for an isolated molecule of C2H4FNO.

Multiplicity: 1
Orbital gap, eV: 10.8
SMILES: NC(=O)CF

Geometry as XYZ:
```
9
C2H4FNO | the OMol25 dataset | ωB97M-V with the def2-TZVPD basis set
N 0.5436 -1.3760 -0.3129
C -0.2151 -0.3950 -0.8347
O -0.0749 0.0938 -1.9028
C -1.4803 0.0587 0.0926
F -0.9153 0.4494 1.3029
H 0.4433 -1.7129 0.5976
H 1.2857 -1.5145 -0.9045
H -2.1352 0.9032 -0.1190
H -1.9779 -0.8826 0.2657
```

Which structure is the most stable? The one labeled x.

w:
DFT (ωB97M-V with the def2-TZVPD basis set) results for a cluster of 3 separate species, C8H15NO in total.

Multiplicity: 1
Orbital gap, eV: 6.1

Geometry as XYZ:
```
25
C8H15NO | the OMol25 dataset | ωB97M-V with the def2-TZVPD basis set
C 1.0823 -1.1028 -0.2332
C 0.1512 0.7201 -1.2238
C 0.2768 -1.3383 0.8547
C 0.9756 -2.0420 -1.4175
C 2.4681 -0.5460 0.0131
N 0.2175 1.7722 -0.4454
H 1.0428 2.3549 -0.4917
H -0.8310 1.9673 0.2272
H -0.8345 0.2812 -1.3041
H 0.7865 0.6393 -2.1038
H 0.5734 -1.0346 1.8485
H -0.5393 -2.0460 0.8037
H -1.1772 -0.0372 1.2941
H -0.0503 -2.3732 -1.5736
H 1.6020 -2.9255 -1.2650
H 1.3226 -1.5651 -2.3341
H 3.1579 -1.3382 0.3132
H 2.8747 -0.0955 -0.8940
H 2.4454 0.2166 0.7903
C -1.9875 0.6177 1.7586
C -3.0798 2.3811 0.3047
C -2.1406 1.8456 0.9864
O -3.8248 2.8544 -0.4836
H -2.8825 -0.0066 1.8009
H -1.6294 0.8004 2.7745
```

x:
DFT (ωB97M-V with the def2-TZVPD basis set) results for a cluster of 2 separate species, C8H15NO in total.

Multiplicity: 1
Orbital gap, eV: 10.5
SMILES: [H]/N=C\C(C)(C)C.C#CCO

Geometry as XYZ:
```
25
C8H15NO | the OMol25 dataset | ωB97M-V with the def2-TZVPD basis set
H -2.6203 0.7386 -0.6382
N -1.9507 0.3477 -1.3013
C -0.9272 -0.1534 -0.7673
C -0.7351 -0.7221 0.7759
C -0.7759 -2.2387 0.6380
C -1.8653 -0.1999 1.6479
C 0.6117 -0.2542 1.2903
H -0.1766 -0.5647 -1.4419
H 0.0282 -2.5878 -0.0072
H -1.7248 -2.5676 0.2180
H -0.6510 -2.7003 1.6187
H -2.8339 -0.5378 1.2817
H -1.8456 0.8889 1.6795
H -1.7522 -0.5758 2.6646
H 1.4301 -0.6585 0.7004
H 0.7361 -0.5227 2.3396
H 0.6695 0.8401 1.2151
C 2.8769 -0.0931 -1.7271
C 2.3630 0.9863 -1.6456
C 1.6375 2.2516 -1.5467
O 0.6428 2.2647 -0.5523
H 3.3839 -1.0092 -1.8380
H 2.3549 3.0429 -1.2855
H 1.2105 2.4849 -2.5383
H -0.0865 1.5401 -0.7803
```

Which structure is the most stable? The one labeled x.

w:
DFT (ωB97M-V with the def2-TZVPD basis set) results for an isolated molecule of C2H3F2I.

Multiplicity: 1
Orbital gap, eV: 10.2
SMILES: CC(F)(F)I

Geometry as XYZ:
```
8
- 2026 – Monday, January 26
- 2027 – Monday, January 25
- 2028 – Monday, January 24
[…] Bubble Wrap Appreciation Day: This year Bubble Wrap Appreciation Day falls on the same day as Curmudgeons Day. Which might make it hard to celebrate both. After all, just how curmudgeonly can you be while playing with bubble wrap?!? […]
[…] Bubble Wrap Appreciation Day: Pop some Bubble Wrap in appreciation of this accidental discovery. Or wrap something precious to keep it safe. No, not your kids, pets, or significant other. There are better ways to keep them safe! Stick with inanimate precious objects, please. […]